The reader should transcribe the whole of the contents further down word for word.

____________
[1]
PBEsol Y2Sc, relaxed; formation enthalpy at 0 K = 0.109 eV per atom; energy above the lowest structure with this stoichiometry = 86 meV per atom; N(E_F) = 6.277 states/eV per cell
1.0
5.385 0.000 0.000
-2.693 4.664 0.000
0.000 0.000 3.340
Y Sc
2 1
Direct
0.333 0.667 0.000 Y
0.667 0.333 0.000 Y
0.000 0.000 0.500 Sc



[2]
PBEsol Y3Sc, relaxed; formation enthalpy at 0 K = 0.046 eV per atom; energy above the lowest structure with this stoichiometry = 28 meV per atom; N(E_F) = 6.245 states/eV per cell
1.0
-2.433 2.433 4.831
2.433 -2.433 4.831
2.433 2.433 -4.831
Y Sc
3 1
Direct
0.000 0.000 0.000 Y
0.250 0.750 0.500 Y
0.750 0.250 0.500 Y
0.500 0.500 0.000 Sc



[3]
PBEsol Y2Sc, relaxed; formation enthalpy at 0 K = 0.033 eV per atom; energy above the lowest structure with this stoichiometry = 10 meV per atom; N(E_F) = 10.991 states/eV per cell
1.0
6.187 -1.744 0.000
6.187 1.744 0.000
-1.783 0.000 7.892
Y Sc
4 2
Direct
0.000 0.000 0.000 Y
0.052 0.052 0.604 Y
0.381 0.381 0.279 Y
0.723 0.723 0.935 Y
0.329 0.329 0.656 Sc
0.665 0.665 0.335 Sc



[4]
PBEsol Y5Sc, relaxed; formation enthalpy at 0 K = 0.036 eV per atom; N(E_F) = 9.267 states/eV per cell
1.0
3.473 0.000 0.000
0.000 3.473 0.000
0.000 0.000 14.535
Y Sc
5 1
Direct
0.000 0.000 0.000 Y
0.000 0.000 0.344 Y
0.000 0.000 0.656 Y
0.500 0.500 0.171 Y
0.500 0.500 0.829 Y
0.500 0.500 0.500 Sc



[5]
PBEsol YSc, relaxed; formation enthalpy at 0 K = 0.061 eV per atom; energy above the lowest structure with this stoichiometry = 38 meV per atom; N(E_F) = 6.320 states/eV per cell
1.0
3.407 0.000 0.000
-1.703 2.950 0.000
0.000 0.000 10.746
Y Sc
2 2
Direct
0.333 0.667 0.250 Y
0.667 0.333 0.750 Y
0.000 0.000 0.000 Sc
0.000 0.000 0.500 Sc



[6]
PBEsol Y3Sc, relaxed; formation enthalpy at 0 K = 0.043 eV per atom; energy above the lowest structure with this stoichiometry = 26 meV per atom; N(E_F) = 6.350 states/eV per cell
1.0
3.458 0.000 0.000
0.000 3.458 0.000
0.000 0.000 9.573
Y Sc
3 1
Direct
0.000 0.000 0.000 Y
0.500 0.500 0.262 Y
0.500 0.500 0.738 Y
0.000 0.000 0.500 Sc



[7]
PBEsol YSc, relaxed; formation enthalpy at 0 K = 0.058 eV per atom; energy above the lowest structure with this stoichiometry = 35 meV per atom; N(E_F) = 6.133 states/eV per cell
1.0
5.585 -1.688 0.000
5.585 1.688 0.000
-1.066 0.000 5.684
Y Sc
2 2
Direct
0.121 0.121 0.369 Y
0.879 0.879 0.631 Y
0.371 0.371 0.122 Sc
0.629 0.629 0.878 Sc



[8]
PBEsol YSc7, relaxed; formation enthalpy at 0 K = 0.056 eV per atom; N(E_F) = 14.400 states/eV per cell
1.0
0.000 4.593 4.593
4.593 0.000 4.593
4.593 4.593 0.000
Y Sc
1 7
Direct
0.000 0.000 0.000 Y
0.000 0.000 0.500 Sc
0.000 0.500 0.000 Sc
0.000 0.500 0.500 Sc
0.500 0.000 0.000 Sc
0.500 0.000 0.500 Sc
0.500 0.500 0.000 Sc
0.500 0.500 0.500 Sc



[9]
PBEsol Y5Sc, relaxed; formation enthalpy at 0 K = 0.316 eV per atom; N(E_F) = 10.194 states/eV per cell
1.0
0.000 4.517 4.517
4.517 0.000 4.517
4.517 4.517 0.000
Y Sc
5 1
Direct
0.000 0.000 0.000 Y
0.375 0.375 0.375 Y
0.375 0.375 0.874 Y
0.375 0.874 0.375 Y
0.874 0.375 0.375 Y
0.750 0.750 0.750 Sc



[10]
PBEsol YSc5, relaxed; formation enthalpy at 0 K = 0.021 eV per atom; energy above the lowest structure with this stoichiometry = 4 meV per atom; N(E_F) = 11.631 states/eV per cell
1.0
5.158 0.000 0.000
0.000 1.662 8.635
0.000 -1.662 8.635
Y Sc
1 5
Direct
0.000 0.000 0.000 Y
0.000 0.329 0.329 Sc
0.000 0.669 0.669 Sc
0.500 0.222 0.222 Sc
0.500 0.558 0.558 Sc
0.500 0.885 0.885 Sc



[11]
PBEsol Y2Sc3, relaxed; formation enthalpy at 0 K = 0.060 eV per atom; energy above the lowest structure with this stoichiometry = 0 meV per atom; N(E_F) = 8.926 states/eV per cell
1.0
-1.677 1.677 11.620
1.677 -1.677 11.620
1.677 1.677 -11.620
Y Sc
2 3
Direct
0.194 0.194 0.000 Y
0.806 0.806 0.000 Y
0.000 0.000 0.000 Sc
0.408 0.408 0.000 Sc
____________

[1]
PBEsol Y2Sc, relaxed; formation enthalpy at 0 K = 0.109 eV per atom; energy above the lowest structure with this stoichiometry = 86 meV per atom; N(E_F) = 6.277 states/eV per cell
1.0
5.385 0.000 0.000
-2.693 4.664 0.000
0.000 0.000 3.340
Y Sc
2 1
Direct
0.333 0.667 0.000 Y
0.667 0.333 0.000 Y
0.000 0.000 0.500 Sc



[2]
PBEsol Y3Sc, relaxed; formation enthalpy at 0 K = 0.046 eV per atom; energy above the lowest structure with this stoichiometry = 28 meV per atom; N(E_F) = 6.245 states/eV per cell
1.0
-2.433 2.433 4.831
2.433 -2.433 4.831
2.433 2.433 -4.831
Y Sc
3 1
Direct
0.000 0.000 0.000 Y
0.250 0.750 0.500 Y
0.750 0.250 0.500 Y
0.500 0.500 0.000 Sc



[3]
PBEsol Y2Sc, relaxed; formation enthalpy at 0 K = 0.033 eV per atom; energy above the lowest structure with this stoichiometry = 10 meV per atom; N(E_F) = 10.991 states/eV per cell
1.0
6.187 -1.744 0.000
6.187 1.744 0.000
-1.783 0.000 7.892
Y Sc
4 2
Direct
0.000 0.000 0.000 Y
0.052 0.052 0.604 Y
0.381 0.381 0.279 Y
0.723 0.723 0.935 Y
0.329 0.329 0.656 Sc
0.665 0.665 0.335 Sc



[4]
PBEsol Y5Sc, relaxed; formation enthalpy at 0 K = 0.036 eV per atom; N(E_F) = 9.267 states/eV per cell
1.0
3.473 0.000 0.000
0.000 3.473 0.000
0.000 0.000 14.535
Y Sc
5 1
Direct
0.000 0.000 0.000 Y
0.000 0.000 0.344 Y
0.000 0.000 0.656 Y
0.500 0.500 0.171 Y
0.500 0.500 0.829 Y
0.500 0.500 0.500 Sc



[5]
PBEsol YSc, relaxed; formation enthalpy at 0 K = 0.061 eV per atom; energy above the lowest structure with this stoichiometry = 38 meV per atom; N(E_F) = 6.320 states/eV per cell
1.0
3.407 0.000 0.000
-1.703 2.950 0.000
0.000 0.000 10.746
Y Sc
2 2
Direct
0.333 0.667 0.250 Y
0.667 0.333 0.750 Y
0.000 0.000 0.000 Sc
0.000 0.000 0.500 Sc



[6]
PBEsol Y3Sc, relaxed; formation enthalpy at 0 K = 0.043 eV per atom; energy above the lowest structure with this stoichiometry = 26 meV per atom; N(E_F) = 6.350 states/eV per cell
1.0
3.458 0.000 0.000
0.000 3.458 0.000
0.000 0.000 9.573
Y Sc
3 1
Direct
0.000 0.000 0.000 Y
0.500 0.500 0.262 Y
0.500 0.500 0.738 Y
0.000 0.000 0.500 Sc



[7]
PBEsol YSc, relaxed; formation enthalpy at 0 K = 0.058 eV per atom; energy above the lowest structure with this stoichiometry = 35 meV per atom; N(E_F) = 6.133 states/eV per cell
1.0
5.585 -1.688 0.000
5.585 1.688 0.000
-1.066 0.000 5.684
Y Sc
2 2
Direct
0.121 0.121 0.369 Y
0.879 0.879 0.631 Y
0.371 0.371 0.122 Sc
0.629 0.629 0.878 Sc



[8]
PBEsol YSc7, relaxed; formation enthalpy at 0 K = 0.056 eV per atom; N(E_F) = 14.400 states/eV per cell
1.0
0.000 4.593 4.593
4.593 0.000 4.593
4.593 4.593 0.000
Y Sc
1 7
Direct
0.000 0.000 0.000 Y
0.000 0.000 0.500 Sc
0.000 0.500 0.000 Sc
0.000 0.500 0.500 Sc
0.500 0.000 0.000 Sc
0.500 0.000 0.500 Sc
0.500 0.500 0.000 Sc
0.500 0.500 0.500 Sc



[9]
PBEsol Y5Sc, relaxed; formation enthalpy at 0 K = 0.316 eV per atom; N(E_F) = 10.194 states/eV per cell
1.0
0.000 4.517 4.517
4.517 0.000 4.517
4.517 4.517 0.000
Y Sc
5 1
Direct
0.000 0.000 0.000 Y
0.375 0.375 0.375 Y
0.375 0.375 0.874 Y
0.375 0.874 0.375 Y
0.874 0.375 0.375 Y
0.750 0.750 0.750 Sc



[10]
PBEsol YSc5, relaxed; formation enthalpy at 0 K = 0.021 eV per atom; energy above the lowest structure with this stoichiometry = 4 meV per atom; N(E_F) = 11.631 states/eV per cell
1.0
5.158 0.000 0.000
0.000 1.662 8.635
0.000 -1.662 8.635
Y Sc
1 5
Direct
0.000 0.000 0.000 Y
0.000 0.329 0.329 Sc
0.000 0.669 0.669 Sc
0.500 0.222 0.222 Sc
0.500 0.558 0.558 Sc
0.500 0.885 0.885 Sc



[11]
PBEsol Y2Sc3, relaxed; formation enthalpy at 0 K = 0.060 eV per atom; energy above the lowest structure with this stoichiometry = 0 meV per atom; N(E_F) = 8.926 states/eV per cell
1.0
-1.677 1.677 11.620
1.677 -1.677 11.620
1.677 1.677 -11.620
Y Sc
2 3
Direct
0.194 0.194 0.000 Y
0.806 0.806 0.000 Y
0.000 0.000 0.000 Sc
0.408 0.408 0.000 Sc